Assignment =
Please duplicate the whole of the block below word for word.

Entries =
~~~
Diffraction record for Pm5ErSc3. The XRD peak list is computed, not measured: it uses a crystal structure in Alexandria, relaxed with GGA-PBE and Cu Kα, 1.54184 Å.
Neutral-atom scattering factors, no anomalous dispersion.

Main lines, by angle (5 to 70 degrees two-theta):
2theta  I (rel.)
22.7  100
27.3  24
31.4  42
31.7  32
32.0  25
32.1  25
33.2  32
39.2  18
39.3  18
46.3  25

Atomic structure:
```
Pm5ErSc3
1.0
5.6559 -5.6974 0.0000
5.6559 5.6974 0.0000
-3.0389 0.0000 9.7693
Pm Er Sc
10 2 6
Cartesian
3.3616 2.9318 6.4132 Pm
5.6559 2.8999 0.0000 Pm
2.5834 0.0000 0.8302 Pm
1.6480 0.0000 4.1092 Pm
4.9113 2.9318 3.3561 Pm
3.3616 -2.9318 6.4132 Pm
6.6248 0.0000 5.6601 Pm
5.6895 0.0000 8.9391 Pm
5.6559 -2.8999 0.0000 Pm
4.9113 -2.9318 3.3561 Pm
0.5329 0.0000 7.3120 Er
7.7400 0.0000 2.4573 Er
-1.5195 0.0000 4.8847 Sc
-0.4899 0.0000 1.6233 Sc
4.6491 0.0000 3.2052 Sc
5.6559 0.0000 0.0000 Sc
3.6238 0.0000 6.5642 Sc
8.7628 0.0000 8.1460 Sc
```
~~~

Result =
Diffraction record for Pm5ErSc3. The XRD peak list is computed, not measured: it uses a crystal structure in Alexandria, relaxed with GGA-PBE and Cu Kα, 1.54184 Å.
Neutral-atom scattering factors, no anomalous dispersion.

Main lines, by angle (5 to 70 degrees two-theta):
2theta  I (rel.)
22.7  100
27.3  24
31.4  42
31.7  32
32.0  25
32.1  25
33.2  32
39.2  18
39.3  18
46.3  25

Atomic structure:
```
Pm5ErSc3
1.0
5.6559 -5.6974 0.0000
5.6559 5.6974 0.0000
-3.0389 0.0000 9.7693
Pm Er Sc
10 2 6
Cartesian
3.3616 2.9318 6.4132 Pm
5.6559 2.8999 0.0000 Pm
2.5834 0.0000 0.8302 Pm
1.6480 0.0000 4.1092 Pm
4.9113 2.9318 3.3561 Pm
3.3616 -2.9318 6.4132 Pm
6.6248 0.0000 5.6601 Pm
5.6895 0.0000 8.9391 Pm
5.6559 -2.8999 0.0000 Pm
4.9113 -2.9318 3.3561 Pm
0.5329 0.0000 7.3120 Er
7.7400 0.0000 2.4573 Er
-1.5195 0.0000 4.8847 Sc
-0.4899 0.0000 1.6233 Sc
4.6491 0.0000 3.2052 Sc
5.6559 0.0000 0.0000 Sc
3.6238 0.0000 6.5642 Sc
8.7628 0.0000 8.1460 Sc
```